
Everything you need to know about growing cannabis at home

How to Dry Cannabis Plants

by | Jul 11, 2022 | Cannabis, Finishing

Drying cannabis plants can be a little daunting for those who have never done it before. If you’re drying for the first time, there are a few things to keep in mind that will ensure your drying process goes smoothly and gives you an optimal result. In this article, we’ll cover everything from drying for the first time to the different types of drying methods used by cultivators as well as how long it takes to dry cannabis plants and whether or not they need any special attention during the drying process.

What is drying for cannabis plants?

Drying cannabis plants is the process of removing most of the water from the buds and leaves. This is important because it makes sure that your plants are more pleasant to smoke and also helps preserve them for future use. The moisture is removed by placing the plants in a controlled environment after you have harvested them.

Why do cannabis plants need to dry after being harvested?

The cannabis plants need to be dried before you can smoke them or use them in any other way. This is because the buds and leaves will contain excess moisture, which can make them unsuitable for consumption. If you try to smoke wet cannabis, the smoke will be much harsher. This is due to the fact that the chlorophyll has not broken down to a level that will make the smoke palatable.

Is there a step I need to do before drying cannabis plants?

This is dependent on you and your preferences. After harvest time, you now have the option to either trim now, which is called wet trimming, or trim after the cannabis buds are done drying, which is called dry trimming. Let’s take a look at the advantages and disadvantages of both below.

Wet trimming

Wet trimming involves trimming your buds right after harvest and before you hang them to dry. It is easier and less time-consuming than dry trimming. It also allows you to take off fan leaves and make the buds smaller so they take up less space when drying. Wet trimming gives your bud the opportunity to dry quicker than dry trimming due to lower moisture levels in the plant.
The drawbacks of wet trimming are that it produces a harsh smoke because it dries quickly and doesn’t allow the chlorophyll to fully break down. It also takes away the fan and sugar leaves before drying which many people think are needed for a longer, better cure.

Next to the piece, the page also holds materials data.
Theoretical X-ray powder pattern
Compound: DyMo6Se8
Radiation: Cu Kα (weighted mean of Kα1 and Kα2)
Structure: a structure optimized by DFT (PBE)

Largest 10 diffraction maxima, low angle first, 2θ = 10–90°:
- hkl 1 0 1, 13.06°, d 6.780, rel. 43.2
- hkl 1 1 3, 29.31°, d 3.047, rel. 37.5
- hkl 3 -1 1, 29.60°, d 3.018, rel. 38.4
- hkl 3 -2 2, 32.41°, d 2.762, rel. 46.0
- hkl 3 0 0, 32.54°, d 2.751, rel. 47.5
- hkl 0 1 5, 39.44°, d 2.285, rel. 42.3
- hkl 4 -3 1, 40.11°, d 2.248, rel. 82.5
- hkl 2 1 4, 41.98°, d 2.152, rel. 56.2
- hkl 4 -2 3, 44.36°, d 2.042, rel. 100.0
- hkl 3 2 4, 57.72°, d 1.597, rel. 39.4

Structure:
a = 9.5312 Å, b = 9.5312 Å, c = 11.8891 Å
α = 90.00°, β = 90.00°, γ = 120.00°
Space group R-3 (No. 148, hexagonal axes)
Inequivalent atoms, fractional coordinates:
Dy 0.0000 0.0000 0.0000
Mo 0.0178 0.1714 0.4052
Se 0.0000 0.0000 0.2367
Se 0.0064 0.6269 0.7494


Theoretical X-ray powder pattern
Compound: Dy2Si4Mo3
Radiation: Cu Kα (weighted mean of Kα1 and Kα2)
Structure: a structure optimized by DFT (PBE)

Largest 10 diffraction maxima, low angle first, 2θ = 10–90°:
- hkl 0 2 1, 29.35°, d 3.043, rel. 27.1
- hkl 1 1 -2, 29.84°, d 2.995, rel. 30.5
- hkl 1 2 -1, 30.44°, d 2.937, rel. 35.4
- hkl 1 2 1, 34.42°, d 2.606, rel. 37.1
- hkl 2 1 -2, 34.92°, d 2.569, rel. 38.5
- hkl 2 2 -1, 37.25°, d 2.414, rel. 100.0
- hkl 1 1 2, 37.51°, d 2.398, rel. 96.8
- hkl 2 2 0, 38.00°, d 2.368, rel. 31.9
- hkl 0 3 1, 41.61°, d 2.170, rel. 49.2
- hkl 3 0 -2, 42.23°, d 2.140, rel. 65.4

Structure:
a = 6.8612 Å, b = 6.9225 Å, c = 6.7478 Å
α = 90.00°, β = 108.85°, γ = 90.00°
Space group P2_1/c (No. 14)
Inequivalent atoms, fractional coordinates:
Dy 0.1906 0.1688 0.0607
Si 0.0908 0.5445 0.8690
Si 0.4951 0.6321 0.6293
Mo 0.2490 0.6626 0.2502
Mo 0.5000 0.0000 0.5000


Theoretical X-ray powder pattern
Compound: Dy2N3
Radiation: Cu Kα (weighted mean of Kα1 and Kα2)
Structure: a structure optimized by DFT (PBE)

Largest 10 diffraction maxima, low angle first, 2θ = 10–90°:
- hkl 2 1 1, 19.83°, d 4.477, rel. 8.6
- hkl 2 2 2, 28.19°, d 3.166, rel. 100.0
- hkl 4 0 0, 32.66°, d 2.742, rel. 37.5
- hkl 4 3 1, 42.01°, d 2.151, rel. 7.3
- hkl 4 4 0, 46.86°, d 1.939, rel. 38.4
- hkl 6 2 2, 55.59°, d 1.653, rel. 33.9
- hkl 4 4 4, 58.29°, d 1.583, rel. 7.5
- hkl 6 6 2, 75.58°, d 1.258, rel. 9.8
- hkl 8 4 0, 77.91°, d 1.226, rel. 7.7
- hkl 8 4 4, 87.06°, d 1.119, rel. 6.6

Structure:
a = 10.9672 Å, b = 10.9672 Å, c = 10.9672 Å
α = 90.00°, β = 90.00°, γ = 90.00°
Space group Ia-3 (No. 206)
Inequivalent atoms, fractional coordinates:
Dy 0.0000 0.0000 0.0000
Dy 0.0000 0.2500 0.2803
N 0.1014 0.1387 0.6288


Theoretical X-ray powder pattern
Compound: Dy3S3N
Radiation: Cu Kα (weighted mean of Kα1 and Kα2)
Structure: a structure optimized by DFT (PBE)

Largest 10 diffraction maxima, low angle first, 2θ = 10–90°:
- hkl 3 0 2, 26.31°, d 3.387, rel. 73.5
- hkl 0 0 4, 27.66°, d 3.225, rel. 100.0
- hkl 1 1 2, 28.11°, d 3.174, rel. 55.8
- hkl 1 1 3, 32.18°, d 2.781, rel. 24.5

Dry trimming

Dry trimming is when you trim all the sugar leaves and fan leaves off your bud after your plants are done drying. Dry trimming is supposed to have a superior taste and smoke compared to wet trimming. You also will have more control over the speed at which the plants dry due to it having a higher moisture content.

Dry trimming does have drawbacks though, the main one being that it is much harder than wet trimming. The fan leaves, and especially the sugar leaves, shrivel, dry, and curl into the buds which makes them hard to trim. It also takes longer due to the slow drying process and takes up more space in your grow area.

Whether you dry trim or wet trim is a personal preference. Both methods have been proven to work and your circumstances may dictate which one you use. We personally prefer dry trimming but can see scenarios where people may need wet trim due to time constraints.

_Unrelated to this piece: records of crystals_
'''
For CaNi4B, a structure optimized by DFT (PBE) gives the simulated powder X-ray diffraction pattern in this record (λ = 1.5418 Å (Cu Kα)).
Neutral-atom scattering factors, no anomalous dispersion.

Principal peaks in the range 5° ≤ 2θ ≤ 70°, low angle first:
2θ/deg, d [Å], Rel. int.
20.4, 4.363, 51
33.3, 2.689, 30
35.6, 2.519, 9
38.1, 2.363, 32
39.6, 2.277, 35
41.4, 2.182, 89
43.6, 2.078, 27
44.7, 2.027, 100
44.9, 2.018, 21
49.6, 1.838, 65
53.7, 1.707, 13
58.6, 1.575, 21

Atomic structure:
Cell lengths 5.0380, 5.0380, 6.8300 Å; angles 90.00, 90.00, 120.00 degrees
'''

How do I dry my cannabis plants?

There are a few different ways to dry marijuana plants, but the most common is by hanging them upside down in a drying room, tent, or closet. Another method gaining in popularity is using a drying rack. These are mesh racks or wire racks that stand on their own and you place the marijuana buds on each level. You can use these instead of hangers or twine from the ceiling as the process is the same for proper drying. Make sure the drying area is a dark environment and has good air circulation. If you are drying in your tent, you can always use clothes hangers on the support bars across your ceiling. If you need more space running a string across the top to hang more plants also works.

[The page is interrupted by materials data]
~~~
Computed powder diffractogram
Compound: MnIrPt6
Radiation: Cu Kα, 1.54184 Å
Structure: a DFT-relaxed cell (GGA-PBE, Alexandria)
Intensities are scaled so that the largest is 100.

Atomic structure:
```
data_MnIrPt6
_chemical_formula_sum 'Mn2 Ir2 Pt12'
_cell_length_a 8.828
_cell_length_b 3.945
_cell_length_c 7.843
_cell_angle_alpha 90.00
_cell_angle_beta 116.49
_cell_angle_gamma 90.00
_symmetry_space_group_name_H-M 'C 1 2/m 1'
_symmetry_Int_Tables_number 12
loop_
_symmetry_equiv_pos_as_xyz
'x,y,z'
'-x,-y,-z'
'-x,y,-z'
'x,-y,z'
'x+1/2,y+1/2,z'
'-x+1/2,-y+1/2,-z'
'-x+1/2,y+1/2,-z'
'x+1/2,-y+1/2,z'
loop_
_atom_site_label
_atom_site_type_symbol
_atom_site_fract_x
_atom_site_fract_y
_atom_site_fract_z
_atom_site_occupancy
Mn1 Mn 0.000 0.000 0.000 1
Ir1 Ir 0.000 0.000 0.500 1
Pt1 Pt 0.000 0.500 0.247 1
Pt2 Pt 0.248 0.000 0.373 1
Pt3 Pt 0.249 0.000 0.875 1
```

Top 8 peaks for 2θ = 15–90°, sorted by position:
h k l	2theta	intensity
1 1 2	39.63	100.0
4 0 0	45.98	32.9
2 0 -4	46.30	16.1
4 2 0	67.06	10.8
2 0 4	67.34	15.9
7 1 -2	80.69	6.5
1 3 2	80.83	19.4
5 1 -6	81.21	6.4
~~~

The ideal humidity level and temperature are very important at this step. We recommend a temperature of 60 degrees Fahrenheit and 60% relative humidity for optimal environmental conditions. Other growers will use different temperatures and relative humidities but if your temperature is between 50-65 degrees Fahrenheit and your relative humidity is between 45%-60% your buds should be fine.
The first step is to remove all the extra leaves from the plant material if you are wet trimming, if not, leave all the leaves on. The leaves will dry out faster than the buds, so it’s important to know whether you would like a longer or shorter drying period.

Next, you can either cut the plants into smaller pieces so they will dry faster and hang individual branches or leave the whole plant as is. Hang the plants upside down by their stems and make sure there is good air circulation around them but no fans should be blowing directly on them.

The drying process takes about a week but can take as long as 14 days depending on your plant and on the humidity and climate. You’ll know your cannabis plants are done drying when the buds are moist to slightly crispy and the stems bend slightly and are close to snapping.

What problems should I look out for during the drying process?

The drying process is very important in the overall quality of your cannabis flowers. If you notice any problems during this critical time make sure to fix them right away.

Make sure there is no water on the leaves that may drip down into your buds and cause the development of mold or mildew. You can tell if a bud has been exposed to too much water because it will smell like hay or grass and not have a pleasant aroma. Keep an eye on your drying plants for any problems like mold, which can form if you have a humid climate or the air circulation isn’t good enough. If you see any signs of mold, take the plants down and discard them immediately.

Don’t let your drying plants sit on the floor where they can be exposed to dirt and bacteria, make sure there is circulation above them as well. Make sure you aren’t drying right next to an oven or heater because this will dry out your buds too fast which could ruin their taste.


There most common way to dry cannabis plants is drying by hanging them upside down in a drying room, tent, or closet. Make sure there’s good air circulation and that the temperature stays between 60-65 degrees Fahrenheit with 45%-60% relative humidity. Once your buds are done drying you can either cut the plant into smaller pieces or leave them whole. Look out for any problems during the drying process like mold and water on the leaves. It generally takes about a week to dry cannabis plants, but it could take up to two weeks depending on your climate and plant size.

Thank you for reading our article, should you have any further questions please see our other articles regarding harvesting, curing, budwashing, and bud rot.

To learn more about growing cannabis at home consider checking out our guides on: Getting Started, Troubleshooting, and Optimizing your Grow or search our Knowledge Base.

We strive to help your plants thrive.